Exercise =
It remains to copy everything underneath word for word.
Given =
'''
No. 1
A plane-wave DFT calculation with PBE was carried out for NpU3Os2 after structural relaxation.

Lattice parameters (Å, degrees): 4.5087 5.4885 5.5961 64.06 66.24 65.75
Atoms (fractional coordinates):
Np1 0.1579 0.4218 0.2625
U1 0.8610 0.5705 0.7075
U2 0.8087 0.1806 0.2020
U3 0.1744 0.8289 0.8223
Os1 0.5270 0.2094 0.7366
Os2 0.4710 0.7889 0.2691

Output
The formation enthalpy at 0 K is -0.11 eV per atom. The density of states at the Fermi level comes out at 2.21 states/eV per atom. The calculated total energy is -11.657 eV/atom. As for the calculated volume: 18.21 A^3/atom.

No. 2
A plane-wave DFT calculation with PBE was carried out for Al5CuMo after structural relaxation.

Lattice parameters (Å, degrees): 7.2966 4.9162 5.0101 90.00 46.53 111.62
Atoms (fractional coordinates):
Al1 0.1421 0.3002 0.0138
Al2 0.4276 0.9236 0.4759
Al3 0.9286 0.9243 0.7455
Al4 0.7143 0.5479 0.4422
Al5 0.4299 0.9246 0.9765
Cu1 0.9289 0.4246 0.6421
Mo1 0.4287 0.4241 0.2348

Output
The formation enthalpy at 0 K is -0.13 eV per atom. The density of states at the Fermi level comes out at 0.49 states/eV per atom. The calculated total energy is -4.938 eV/atom. As for the calculated volume: 16.05 A^3/atom.

No. 3
A plane-wave DFT calculation with PBE was carried out for RbMgP2Pd4 after structural relaxation.

Lattice parameters (Å, degrees): 4.1145 4.1145 10.2037 90.00 90.00 90.00
Atoms (fractional coordinates):
Rb1 0.0000 0.0000 0.5000
Mg1 0.0000 0.0000 0.0000
P1 0.5000 0.5000 0.2836
P2 0.5000 0.5000 0.7164
Pd1 0.0000 0.5000 0.1789
Pd2 0.5000 0.0000 0.8211
Pd3 0.5000 0.0000 0.1789
Pd4 0.0000 0.5000 0.8211

Output
The formation enthalpy at 0 K is -0.47 eV per atom. The density of states at the Fermi level comes out at 0.61 states/eV per atom. The calculated total energy is -4.737 eV/atom. As for the calculated volume: 21.59 A^3/atom.

No. 4
A plane-wave DFT calculation with PBE was carried out for PaSe2Cl after structural relaxation.

Lattice parameters (Å, degrees): 4.6511 4.6511 7.5577 72.08 72.08 60.00
Atoms (fractional coordinates):
Pa1 0.6489 0.6489 0.0533
Se1 0.0425 0.0425 0.8724
Se2 0.2805 0.2805 0.1584
Cl1 0.5280 0.5280 0.4159

Output
For the uncorrected formation energy, the calculation gives -1.326 eV per atom. The calculated total energy is -5.904 eV/atom. As for the calculated volume: 33.09 A^3/atom. Its relative energy among the computed polymorphs is 2.4 kJ/mol of atoms.

No. 5
A plane-wave DFT calculation with PBE was carried out for NdSm6Dy2Er3 after structural relaxation.

Lattice parameters (Å, degrees): 6.2189 6.2189 11.8492 95.00 95.00 119.98
Atoms (fractional coordinates):
Nd1 0.0000 0.0000 0.0000
Sm1 0.9158 0.5818 0.7476
Sm2 0.7503 0.7503 0.2523
Sm3 0.0842 0.4182 0.2524
Sm4 0.5818 0.9158 0.7476
Sm5 0.2497 0.2497 0.7477
Sm6 0.4182 0.0842 0.2524
Dy1 0.3334 0.6666 0.0000
Dy2 0.6666 0.3334 0.0000
Er1 0.1669 0.8331 0.5000
Er2 0.8331 0.1669 0.5000
Er3 0.5000 0.5000 0.5000

Output
The formation enthalpy at 0 K is 0.02 eV per atom. The density of states at the Fermi level comes out at 1.22 states/eV per atom. The calculated total energy is -4.649 eV/atom. As for the calculated volume: 32.57 A^3/atom.

No. 6
A plane-wave DFT calculation with PBE was carried out for Hf3Bi after structural relaxation.

Lattice parameters (Å, degrees): 3.3827 5.4560 5.9575 117.25 106.49 90.00
Atoms (fractional coordinates):
Hf1 0.2539 0.5987 0.5078
Hf2 0.5000 0.4823 0.0000
Hf3 0.7461 0.0909 0.4922
Bi1 0.0000 0.9949 0.0000

Output
The formation enthalpy at 0 K is 0.00 eV per atom. The density of states at the Fermi level comes out at 0.83 states/eV per atom. The calculated total energy is -8.435 eV/atom. As for the calculated volume: 23.16 A^3/atom.

No. 7
A plane-wave DFT calculation with PBE was carried out for IrOsPt after structural relaxation.

Lattice parameters (Å, degrees): 7.5507 7.2973 2.7241 84.72 74.23 21.05
Atoms (fractional coordinates):
Ir1 0.0053 0.0053 0.9947
Os1 0.6620 0.6620 0.3380
Pt1 0.3327 0.3327 0.6673

Output
'''
Outcome =
No. 1
A plane-wave DFT calculation with PBE was carried out for NpU3Os2 after structural relaxation.

Lattice parameters (Å, degrees): 4.5087 5.4885 5.5961 64.06 66.24 65.75
Atoms (fractional coordinates):
Np1 0.1579 0.4218 0.2625
U1 0.8610 0.5705 0.7075
U2 0.8087 0.1806 0.2020
U3 0.1744 0.8289 0.8223
Os1 0.5270 0.2094 0.7366
Os2 0.4710 0.7889 0.2691

Output
The formation enthalpy at 0 K is -0.11 eV per atom. The density of states at the Fermi level comes out at 2.21 states/eV per atom. The calculated total energy is -11.657 eV/atom. As for the calculated volume: 18.21 A^3/atom.

No. 2
A plane-wave DFT calculation with PBE was carried out for Al5CuMo after structural relaxation.

Lattice parameters (Å, degrees): 7.2966 4.9162 5.0101 90.00 46.53 111.62
Atoms (fractional coordinates):
Al1 0.1421 0.3002 0.0138
Al2 0.4276 0.9236 0.4759
Al3 0.9286 0.9243 0.7455
Al4 0.7143 0.5479 0.4422
Al5 0.4299 0.9246 0.9765
Cu1 0.9289 0.4246 0.6421
Mo1 0.4287 0.4241 0.2348

Output
The formation enthalpy at 0 K is -0.13 eV per atom. The density of states at the Fermi level comes out at 0.49 states/eV per atom. The calculated total energy is -4.938 eV/atom. As for the calculated volume: 16.05 A^3/atom.

No. 3
A plane-wave DFT calculation with PBE was carried out for RbMgP2Pd4 after structural relaxation.

Lattice parameters (Å, degrees): 4.1145 4.1145 10.2037 90.00 90.00 90.00
Atoms (fractional coordinates):
Rb1 0.0000 0.0000 0.5000
Mg1 0.0000 0.0000 0.0000
P1 0.5000 0.5000 0.2836
P2 0.5000 0.5000 0.7164
Pd1 0.0000 0.5000 0.1789
Pd2 0.5000 0.0000 0.8211
Pd3 0.5000 0.0000 0.1789
Pd4 0.0000 0.5000 0.8211

Output
The formation enthalpy at 0 K is -0.47 eV per atom. The density of states at the Fermi level comes out at 0.61 states/eV per atom. The calculated total energy is -4.737 eV/atom. As for the calculated volume: 21.59 A^3/atom.

No. 4
A plane-wave DFT calculation with PBE was carried out for PaSe2Cl after structural relaxation.

Lattice parameters (Å, degrees): 4.6511 4.6511 7.5577 72.08 72.08 60.00
Atoms (fractional coordinates):
Pa1 0.6489 0.6489 0.0533
Se1 0.0425 0.0425 0.8724
Se2 0.2805 0.2805 0.1584
Cl1 0.5280 0.5280 0.4159

Output
For the uncorrected formation energy, the calculation gives -1.326 eV per atom. The calculated total energy is -5.904 eV/atom. As for the calculated volume: 33.09 A^3/atom. Its relative energy among the computed polymorphs is 2.4 kJ/mol of atoms.

No. 5
A plane-wave DFT calculation with PBE was carried out for NdSm6Dy2Er3 after structural relaxation.

Lattice parameters (Å, degrees): 6.2189 6.2189 11.8492 95.00 95.00 119.98
Atoms (fractional coordinates):
Nd1 0.0000 0.0000 0.0000
Sm1 0.9158 0.5818 0.7476
Sm2 0.7503 0.7503 0.2523
Sm3 0.0842 0.4182 0.2524
Sm4 0.5818 0.9158 0.7476
Sm5 0.2497 0.2497 0.7477
Sm6 0.4182 0.0842 0.2524
Dy1 0.3334 0.6666 0.0000
Dy2 0.6666 0.3334 0.0000
Er1 0.1669 0.8331 0.5000
Er2 0.8331 0.1669 0.5000
Er3 0.5000 0.5000 0.5000

Output
The formation enthalpy at 0 K is 0.02 eV per atom. The density of states at the Fermi level comes out at 1.22 states/eV per atom. The calculated total energy is -4.649 eV/atom. As for the calculated volume: 32.57 A^3/atom.

No. 6
A plane-wave DFT calculation with PBE was carried out for Hf3Bi after structural relaxation.

Lattice parameters (Å, degrees): 3.3827 5.4560 5.9575 117.25 106.49 90.00
Atoms (fractional coordinates):
Hf1 0.2539 0.5987 0.5078
Hf2 0.5000 0.4823 0.0000
Hf3 0.7461 0.0909 0.4922
Bi1 0.0000 0.9949 0.0000

Output
The formation enthalpy at 0 K is 0.00 eV per atom. The density of states at the Fermi level comes out at 0.83 states/eV per atom. The calculated total energy is -8.435 eV/atom. As for the calculated volume: 23.16 A^3/atom.

No. 7
A plane-wave DFT calculation with PBE was carried out for IrOsPt after structural relaxation.

Lattice parameters (Å, degrees): 7.5507 7.2973 2.7241 84.72 74.23 21.05
Atoms (fractional coordinates):
Ir1 0.0053 0.0053 0.9947
Os1 0.6620 0.6620 0.3380
Pt1 0.3327 0.3327 0.6673

Output